## Brief
Print all of the entries further below without additions, please.

## Excerpt
┌──
{"formula": "C61H57ClF10O4S", "method": "ωB97M-V with the def2-TZVPD basis set", "species": ["C", "C", "F", "C", "O", "S", "O", "O", "O", "C", "C", "C", "C", "Cl", "H", "H", "H", "H", "H", "H", "H", "H", "H", "H", "H", "H", "F", "C", "C", "C", "C", "C", "C", "H", "H", "H", "H", "H", "F", "C", "C", "C", "C", "C", "C", "H", "H", "H", "H", "H", "F", "C", "C", "C", "C", "C", "C", "H", "H", "H", "H", "H", "F", "C", "C", "C", "C", "C", "C", "H", "H", "H", "H", "H", "F", "C", "C", "C", "C", "C", "C", "H", "H", "H", "H", "H", "F", "C", "C", "C", "C", "C", "C", "H", "H", "H", "H", "H", "F", "C", "C", "C", "C", "C", "C", "H", "H", "H", "H", "H", "F", "C", "C", "C", "C", "C", "C", "H", "H", "H", "H", "H", "F", "C", "C", "C", "C", "C", "C", "H", "H", "H", "H", "H"], "coordinates": [[1.957581, -5.138751, -2.767307], [0.846297, -4.302886, -3.393284], [1.323236, -3.523069, -4.424806], [-0.306916, -5.130499, -3.973011], [-1.170128, -4.107575, -4.615497], [-2.226852, -3.583307, -3.542035], [-3.505690, -3.969361, -4.017487], [-2.122356, -2.215219, -3.254178], [-1.810937, -4.546702, -2.335980], [-1.267070, -5.737309, -2.990655], [-0.720870, -6.606344, -1.876735], [-0.188058, -7.985068, -2.285121], [-1.063464, -8.778126, -3.236628], [-0.883114, -8.343515, -4.957189], [2.019210, -4.881504, -1.716521], [2.887416, -4.861627, -3.236511], [1.752819, -6.195598, -2.848449], [0.424217, -3.624514, -2.656591], [-0.017187, -5.719298, -4.825373], [-2.140720, -6.230431, -3.407782], [0.074124, -6.081472, -1.356302], [-1.514856, -6.712012, -1.146551], [-0.147422, -8.577462, -1.374170], [0.836248, -7.932766, -2.628531], [-0.752885, -9.811150, -3.171058], [-2.101406, -8.768795, -2.927667], [-1.233759, 3.391114, -1.120429], [-2.302621, 2.560525, -1.097317], [-3.294750, 2.777300, -0.164103], [-4.390497, 1.927499, -0.144083], [-4.472571, 0.875061, -1.045579], [-3.460269, 0.673028, -1.973846], [-2.366557, 1.524849, -2.005401], [-3.206445, 3.599376, 0.534302], [-5.180712, 2.087331, 0.577153], [-5.326604, 0.211247, -1.024434], [-3.519984, -0.149416, -2.672899], [-1.570271, 1.389230, -2.725298], [4.754438, -6.182944, -3.404446], [5.710590, -5.528125, -2.714466], [5.717039, -5.621071, -1.337184], [6.700837, -4.950595, -0.625510], [7.652383, -4.193822, -1.295693], [7.624081, -4.110672, -2.680982], [6.649334, -4.785946, -3.400560], [4.960873, -6.211682, -0.834664], [6.724224, -5.019660, 0.454127], [8.416330, -3.669141, -0.737550], [8.362579, -3.518212, -3.203721], [6.614186, -4.740267, -4.480938], [1.082574, 2.752739, 2.298340], [1.334699, 4.033954, 1.959352], [2.163157, 4.788708, 2.765504], [2.424356, 6.105321, 2.412752], [1.849064, 6.647086, 1.271945], [1.013941, 5.872859, 0.477454], [0.756591, 4.552665, 0.818063], [2.594489, 4.348639, 3.655510], [3.075780, 6.709235, 3.030378], [2.050582, 7.673815, 1.002265], [0.562608, 6.297256, -0.408937], [0.117198, 3.932449, 0.208953], [1.522239, 8.500013, 4.933159], [0.240700, 8.228253, 5.258740], [-0.486802, 9.168962, 5.958959], [-1.805059, 8.887888, 6.288228], [-2.370630, 7.674093, 5.923436], [-1.620374, 6.740180, 5.223228], [-0.305377, 7.018427, 4.881981], [-0.024107, 10.105913, 6.239925], [-2.391370, 9.617796, 6.830449], [-3.396765, 7.457290, 6.185061], [-2.059492, 5.792661, 4.941225], [0.294131, 6.307249, 4.328446], [2.942733, -7.272476, -0.102197], [2.353415, -7.353142, 1.113465], [1.928938, -8.582599, 1.574708], [1.328300, -8.658683, 2.822956], [1.152305, -7.510178, 3.582958], [1.580421, -6.281444, 3.097794], [2.190423, -6.202843, 1.856064], [2.069390, -9.464506, 0.963004], [0.997426, -9.616211, 3.202029], [0.680392, -7.573224, 4.554355], [1.441422, -5.390472, 3.685221], [2.539421, -5.257787, 1.463907], [-5.313595, 7.041208, 4.568703], [-5.990244, 8.157346, 4.901567], [-6.581416, 8.238632, 6.146489], [-7.273400, 9.391043, 6.488508], [-7.372839, 10.438419, 5.583960], [-6.774434, 10.336015, 4.336008], [-6.072910, 9.190859, 3.990640], [-6.498477, 7.407885, 6.835107], [-7.735873, 9.470567, 7.463033], [-7.916453, 11.334394, 5.852338], [-6.853576, 11.150136, 3.628367], [-5.592246, 9.095411, 3.026114], [1.387388, 8.587482, -1.400421], [2.317724, 9.493546, -1.764136], [3.320609, 9.824981, -0.875542], [4.275929, 10.754306, -1.258467], [4.211988, 11.343644, -2.513223], [3.193077, 10.999587, -3.390102], [2.239401, 10.064082, -3.018008], [3.350185, 9.360513, 0.100684], [5.071621, 11.018805, -0.575307], [4.956928, 12.070990, -2.807035], [3.139622, 11.460673, -4.367042], [1.441742, 9.776371, -3.689848], [-5.591137, -9.978615, -5.723187], [-5.520439, -8.697689, -6.143153], [-4.830716, -7.778193, -5.379762], [-4.753863, -6.462287, -5.813124], [-5.374550, -6.085297, -6.996128], [-6.067491, -7.024057, -7.747942], [-6.139285, -8.343265, -7.323800], [-4.360818, -8.093752, -4.456932], [-4.211643, -5.731430, -5.228472], [-5.316790, -5.058125, -7.330519], [-6.554546, -6.729623, -8.667970], [-6.667697, -9.091729, -7.899302], [1.779747, -3.391479, 2.912029], [2.930786, -2.774154, 3.260221], [3.902698, -2.581549, 2.299670], [5.081465, -1.945258, 2.657405], [5.274995, -1.521368, 3.964645], [4.286037, -1.729018, 4.915791], [3.100311, -2.356058, 4.563334], [3.735216, -2.924733, 1.286629], [5.849532, -1.779822, 1.913898], [6.197049, -1.028162, 4.241327], [4.437142, -1.401923, 5.935448], [2.313509, -2.519822, 5.287820]], "forces_ev_per_angstrom": [[-0.5, 0.7, 0.0], [-0.2, -0.8, 0.4], [0.3, 0.0, -0.2], [-0.3, 1.7, -1.1], [-0.1, 0.1, 0.9], [-1.5, -0.8, -1.3], [-0.7, -0.7, -0.1], [1.4, 1.1, 0.9], [0.2, 0.7, -0.4], [0.1, -0.5, 1.5], [0.4, 0.0, 0.0], [-0.6, 0.3, 0.2], [0.6, -0.5, 0.4], [-0.2, 0.1, 0.0], [0.2, -0.1, 0.2], [0.3, -0.2, -0.2], [0.3, -0.2, -0.2], [0.0, 0.2, 0.0], [0.3, -0.6, 0.1], [0.2, -0.1, -0.8], [0.1, 0.2, 0.1], [-0.3, -0.1, 0.1], [0.1, -0.1, 0.2], [0.2, 0.0, -0.4], [0.1, -0.3, -0.1], [-0.3, 0.3, -0.2], [-0.2, -0.1, -0.2], [-0.2, -0.2, 0.0], [0.0, 0.2, 0.2], [0.0, -0.1, -0.1], [-0.1, 0.0, 0.0], [-0.1, 0.0, 0.1], [0.2, 0.0, -0.2], [0.0, 0.0, 0.0], [0.0, 0.0, 0.0], [0.0, 0.0, 0.0], [0.0, 0.0, 0.0], [0.0, 0.0, 0.0], [0.1, -0.1, -0.1], [0.2, 0.1, 0.2], [-0.2, -0.1, 0.1], [0.0, 0.1, -0.1], [0.1, 0.0, 0.0], [0.0, 0.0, 0.1], [0.0, 0.0, -0.3], [0.0, 0.0, -0.1], [0.0, 0.0, 0.0], [0.0, 0.0, 0.0], [0.0, 0.0, 0.0], [0.0, 0.0, 0.0], [0.0, 0.0, 0.0], [0.1, 0.3, -0.1], [0.1, -0.1, 0.2], [0.0, 0.0, -0.1], [0.0, 0.1, 0.0], [0.1, 0.0, 0.1], [-0.1, -0.1, 0.0], [0.0, 0.0, 0.0], [0.0, 0.0, 0.0], [0.0, 0.0, 0.0], [0.0, 0.0, 0.0], [0.1, 0.0, 0.1], [0.0, 0.0, 0.0], [-0.3, 0.0, 0.1], [0.1, 0.2, 0.1], [0.0, -0.1, -0.1], [-0.1, 0.0, 0.1], [0.0, 0.1, 0.1], [0.2, -0.2, -0.1], [0.0, 0.0, 0.0], [0.0, 0.0, 0.0], [0.0, 0.0, 0.0], [0.0, 0.0, 0.0], [0.0, 0.0, 0.0], [0.0, 0.0, -0.1], [-0.2, 0.0, 0.3], [0.0, -0.2, -0.2], [0.0, 0.1, 0.0], [0.0, 0.0, 0.0], [-0.1, -0.4, 0.1], [0.1, 0.2, -0.2], [0.0, 0.0, 0.0], [0.0, 0.0, 0.0], [0.0, 0.0, 0.0], [0.0, 0.0, 0.0], [0.0, 0.0, 0.0], [0.0, -0.1, 0.0], [-0.1, 0.2, 0.1], [0.0, -0.2, 0.2], [0.0, 0.1, -0.1], [0.0, 0.1, 0.0], [0.0, 0.0, 0.1], [0.1, 0.0, -0.2], [0.0, 0.0, 0.0], [0.0, 0.0, 0.0], [0.0, 0.0, 0.0], [0.0, 0.0, 0.0], [0.0, 0.0, 0.0], [0.0, 0.0, 0.0], [0.2, 0.2, -0.1], [0.0, -0.1, 0.2], [-0.1, 0.0, -0.1], [0.1, 0.1, 0.0], [0.1, 0.0, 0.1], [-0.2, 0.0, -0.2], [0.0, 0.0, 0.0], [0.0, 0.0, 0.0], [0.0, 0.0, 0.0], [0.0, 0.0, 0.0], [0.0, 0.0, 0.0], [0.0, 0.0, 0.0], [0.0, 0.2, -0.1], [0.1, 0.0, 0.1], [0.0, 0.0, -0.1], [0.0, 0.0, 0.0], [0.1, 0.0, 0.1], [-0.1, -0.1, -0.1], [0.0, 0.0, 0.0], [-0.1, 0.0, 0.0], [0.0, 0.0, 0.0], [0.0, 0.0, 0.0], [0.0, 0.0, 0.0], [0.0, 0.3, 0.0], [0.2, 0.2, 0.0], [-0.1, -0.1, -0.2], [0.0, 0.0, 0.1], [0.1, 0.0, 0.0], [0.1, 0.0, -0.1], [-0.2, -0.1, 0.2], [0.0, 0.0, 0.0], [0.0, 0.0, 0.0], [0.0, 0.0, 0.0], [0.0, 0.0, 0.0], [0.0, 0.0, 0.0]], "lowdin_charge": [0.01, -0.31, 0.02, -0.19, -0.15, 0.58, -0.23, -0.20, -0.15, -0.29, -0.12, -0.24, -0.56, 0.62, 0.08, 0.08, 0.06, 0.15, 0.14, 0.14, 0.11, 0.13, 0.11, 0.10, 0.07, 0.08, 0.03, -0.28, -0.02, -0.09, -0.09, -0.07, -0.01, 0.12, 0.10, 0.10, 0.09, 0.12, 0.05, -0.29, -0.01, -0.08, -0.10, -0.08, -0.01, 0
└──

## Here it is
{"formula": "C61H57ClF10O4S", "method": "ωB97M-V with the def2-TZVPD basis set", "species": ["C", "C", "F", "C", "O", "S", "O", "O", "O", "C", "C", "C", "C", "Cl", "H", "H", "H", "H", "H", "H", "H", "H", "H", "H", "H", "H", "F", "C", "C", "C", "C", "C", "C", "H", "H", "H", "H", "H", "F", "C", "C", "C", "C", "C", "C", "H", "H", "H", "H", "H", "F", "C", "C", "C", "C", "C", "C", "H", "H", "H", "H", "H", "F", "C", "C", "C", "C", "C", "C", "H", "H", "H", "H", "H", "F", "C", "C", "C", "C", "C", "C", "H", "H", "H", "H", "H", "F", "C", "C", "C", "C", "C", "C", "H", "H", "H", "H", "H", "F", "C", "C", "C", "C", "C", "C", "H", "H", "H", "H", "H", "F", "C", "C", "C", "C", "C", "C", "H", "H", "H", "H", "H", "F", "C", "C", "C", "C", "C", "C", "H", "H", "H", "H", "H"], "coordinates": [[1.957581, -5.138751, -2.767307], [0.846297, -4.302886, -3.393284], [1.323236, -3.523069, -4.424806], [-0.306916, -5.130499, -3.973011], [-1.170128, -4.107575, -4.615497], [-2.226852, -3.583307, -3.542035], [-3.505690, -3.969361, -4.017487], [-2.122356, -2.215219, -3.254178], [-1.810937, -4.546702, -2.335980], [-1.267070, -5.737309, -2.990655], [-0.720870, -6.606344, -1.876735], [-0.188058, -7.985068, -2.285121], [-1.063464, -8.778126, -3.236628], [-0.883114, -8.343515, -4.957189], [2.019210, -4.881504, -1.716521], [2.887416, -4.861627, -3.236511], [1.752819, -6.195598, -2.848449], [0.424217, -3.624514, -2.656591], [-0.017187, -5.719298, -4.825373], [-2.140720, -6.230431, -3.407782], [0.074124, -6.081472, -1.356302], [-1.514856, -6.712012, -1.146551], [-0.147422, -8.577462, -1.374170], [0.836248, -7.932766, -2.628531], [-0.752885, -9.811150, -3.171058], [-2.101406, -8.768795, -2.927667], [-1.233759, 3.391114, -1.120429], [-2.302621, 2.560525, -1.097317], [-3.294750, 2.777300, -0.164103], [-4.390497, 1.927499, -0.144083], [-4.472571, 0.875061, -1.045579], [-3.460269, 0.673028, -1.973846], [-2.366557, 1.524849, -2.005401], [-3.206445, 3.599376, 0.534302], [-5.180712, 2.087331, 0.577153], [-5.326604, 0.211247, -1.024434], [-3.519984, -0.149416, -2.672899], [-1.570271, 1.389230, -2.725298], [4.754438, -6.182944, -3.404446], [5.710590, -5.528125, -2.714466], [5.717039, -5.621071, -1.337184], [6.700837, -4.950595, -0.625510], [7.652383, -4.193822, -1.295693], [7.624081, -4.110672, -2.680982], [6.649334, -4.785946, -3.400560], [4.960873, -6.211682, -0.834664], [6.724224, -5.019660, 0.454127], [8.416330, -3.669141, -0.737550], [8.362579, -3.518212, -3.203721], [6.614186, -4.740267, -4.480938], [1.082574, 2.752739, 2.298340], [1.334699, 4.033954, 1.959352], [2.163157, 4.788708, 2.765504], [2.424356, 6.105321, 2.412752], [1.849064, 6.647086, 1.271945], [1.013941, 5.872859, 0.477454], [0.756591, 4.552665, 0.818063], [2.594489, 4.348639, 3.655510], [3.075780, 6.709235, 3.030378], [2.050582, 7.673815, 1.002265], [0.562608, 6.297256, -0.408937], [0.117198, 3.932449, 0.208953], [1.522239, 8.500013, 4.933159], [0.240700, 8.228253, 5.258740], [-0.486802, 9.168962, 5.958959], [-1.805059, 8.887888, 6.288228], [-2.370630, 7.674093, 5.923436], [-1.620374, 6.740180, 5.223228], [-0.305377, 7.018427, 4.881981], [-0.024107, 10.105913, 6.239925], [-2.391370, 9.617796, 6.830449], [-3.396765, 7.457290, 6.185061], [-2.059492, 5.792661, 4.941225], [0.294131, 6.307249, 4.328446], [2.942733, -7.272476, -0.102197], [2.353415, -7.353142, 1.113465], [1.928938, -8.582599, 1.574708], [1.328300, -8.658683, 2.822956], [1.152305, -7.510178, 3.582958], [1.580421, -6.281444, 3.097794], [2.190423, -6.202843, 1.856064], [2.069390, -9.464506, 0.963004], [0.997426, -9.616211, 3.202029], [0.680392, -7.573224, 4.554355], [1.441422, -5.390472, 3.685221], [2.539421, -5.257787, 1.463907], [-5.313595, 7.041208, 4.568703], [-5.990244, 8.157346, 4.901567], [-6.581416, 8.238632, 6.146489], [-7.273400, 9.391043, 6.488508], [-7.372839, 10.438419, 5.583960], [-6.774434, 10.336015, 4.336008], [-6.072910, 9.190859, 3.990640], [-6.498477, 7.407885, 6.835107], [-7.735873, 9.470567, 7.463033], [-7.916453, 11.334394, 5.852338], [-6.853576, 11.150136, 3.628367], [-5.592246, 9.095411, 3.026114], [1.387388, 8.587482, -1.400421], [2.317724, 9.493546, -1.764136], [3.320609, 9.824981, -0.875542], [4.275929, 10.754306, -1.258467], [4.211988, 11.343644, -2.513223], [3.193077, 10.999587, -3.390102], [2.239401, 10.064082, -3.018008], [3.350185, 9.360513, 0.100684], [5.071621, 11.018805, -0.575307], [4.956928, 12.070990, -2.807035], [3.139622, 11.460673, -4.367042], [1.441742, 9.776371, -3.689848], [-5.591137, -9.978615, -5.723187], [-5.520439, -8.697689, -6.143153], [-4.830716, -7.778193, -5.379762], [-4.753863, -6.462287, -5.813124], [-5.374550, -6.085297, -6.996128], [-6.067491, -7.024057, -7.747942], [-6.139285, -8.343265, -7.323800], [-4.360818, -8.093752, -4.456932], [-4.211643, -5.731430, -5.228472], [-5.316790, -5.058125, -7.330519], [-6.554546, -6.729623, -8.667970], [-6.667697, -9.091729, -7.899302], [1.779747, -3.391479, 2.912029], [2.930786, -2.774154, 3.260221], [3.902698, -2.581549, 2.299670], [5.081465, -1.945258, 2.657405], [5.274995, -1.521368, 3.964645], [4.286037, -1.729018, 4.915791], [3.100311, -2.356058, 4.563334], [3.735216, -2.924733, 1.286629], [5.849532, -1.779822, 1.913898], [6.197049, -1.028162, 4.241327], [4.437142, -1.401923, 5.935448], [2.313509, -2.519822, 5.287820]], "forces_ev_per_angstrom": [[-0.5, 0.7, 0.0], [-0.2, -0.8, 0.4], [0.3, 0.0, -0.2], [-0.3, 1.7, -1.1], [-0.1, 0.1, 0.9], [-1.5, -0.8, -1.3], [-0.7, -0.7, -0.1], [1.4, 1.1, 0.9], [0.2, 0.7, -0.4], [0.1, -0.5, 1.5], [0.4, 0.0, 0.0], [-0.6, 0.3, 0.2], [0.6, -0.5, 0.4], [-0.2, 0.1, 0.0], [0.2, -0.1, 0.2], [0.3, -0.2, -0.2], [0.3, -0.2, -0.2], [0.0, 0.2, 0.0], [0.3, -0.6, 0.1], [0.2, -0.1, -0.8], [0.1, 0.2, 0.1], [-0.3, -0.1, 0.1], [0.1, -0.1, 0.2], [0.2, 0.0, -0.4], [0.1, -0.3, -0.1], [-0.3, 0.3, -0.2], [-0.2, -0.1, -0.2], [-0.2, -0.2, 0.0], [0.0, 0.2, 0.2], [0.0, -0.1, -0.1], [-0.1, 0.0, 0.0], [-0.1, 0.0, 0.1], [0.2, 0.0, -0.2], [0.0, 0.0, 0.0], [0.0, 0.0, 0.0], [0.0, 0.0, 0.0], [0.0, 0.0, 0.0], [0.0, 0.0, 0.0], [0.1, -0.1, -0.1], [0.2, 0.1, 0.2], [-0.2, -0.1, 0.1], [0.0, 0.1, -0.1], [0.1, 0.0, 0.0], [0.0, 0.0, 0.1], [0.0, 0.0, -0.3], [0.0, 0.0, -0.1], [0.0, 0.0, 0.0], [0.0, 0.0, 0.0], [0.0, 0.0, 0.0], [0.0, 0.0, 0.0], [0.0, 0.0, 0.0], [0.1, 0.3, -0.1], [0.1, -0.1, 0.2], [0.0, 0.0, -0.1], [0.0, 0.1, 0.0], [0.1, 0.0, 0.1], [-0.1, -0.1, 0.0], [0.0, 0.0, 0.0], [0.0, 0.0, 0.0], [0.0, 0.0, 0.0], [0.0, 0.0, 0.0], [0.1, 0.0, 0.1], [0.0, 0.0, 0.0], [-0.3, 0.0, 0.1], [0.1, 0.2, 0.1], [0.0, -0.1, -0.1], [-0.1, 0.0, 0.1], [0.0, 0.1, 0.1], [0.2, -0.2, -0.1], [0.0, 0.0, 0.0], [0.0, 0.0, 0.0], [0.0, 0.0, 0.0], [0.0, 0.0, 0.0], [0.0, 0.0, 0.0], [0.0, 0.0, -0.1], [-0.2, 0.0, 0.3], [0.0, -0.2, -0.2], [0.0, 0.1, 0.0], [0.0, 0.0, 0.0], [-0.1, -0.4, 0.1], [0.1, 0.2, -0.2], [0.0, 0.0, 0.0], [0.0, 0.0, 0.0], [0.0, 0.0, 0.0], [0.0, 0.0, 0.0], [0.0, 0.0, 0.0], [0.0, -0.1, 0.0], [-0.1, 0.2, 0.1], [0.0, -0.2, 0.2], [0.0, 0.1, -0.1], [0.0, 0.1, 0.0], [0.0, 0.0, 0.1], [0.1, 0.0, -0.2], [0.0, 0.0, 0.0], [0.0, 0.0, 0.0], [0.0, 0.0, 0.0], [0.0, 0.0, 0.0], [0.0, 0.0, 0.0], [0.0, 0.0, 0.0], [0.2, 0.2, -0.1], [0.0, -0.1, 0.2], [-0.1, 0.0, -0.1], [0.1, 0.1, 0.0], [0.1, 0.0, 0.1], [-0.2, 0.0, -0.2], [0.0, 0.0, 0.0], [0.0, 0.0, 0.0], [0.0, 0.0, 0.0], [0.0, 0.0, 0.0], [0.0, 0.0, 0.0], [0.0, 0.0, 0.0], [0.0, 0.2, -0.1], [0.1, 0.0, 0.1], [0.0, 0.0, -0.1], [0.0, 0.0, 0.0], [0.1, 0.0, 0.1], [-0.1, -0.1, -0.1], [0.0, 0.0, 0.0], [-0.1, 0.0, 0.0], [0.0, 0.0, 0.0], [0.0, 0.0, 0.0], [0.0, 0.0, 0.0], [0.0, 0.3, 0.0], [0.2, 0.2, 0.0], [-0.1, -0.1, -0.2], [0.0, 0.0, 0.1], [0.1, 0.0, 0.0], [0.1, 0.0, -0.1], [-0.2, -0.1, 0.2], [0.0, 0.0, 0.0], [0.0, 0.0, 0.0], [0.0, 0.0, 0.0], [0.0, 0.0, 0.0], [0.0, 0.0, 0.0]], "lowdin_charge": [0.01, -0.31, 0.02, -0.19, -0.15, 0.58, -0.23, -0.20, -0.15, -0.29, -0.12, -0.24, -0.56, 0.62, 0.08, 0.08, 0.06, 0.15, 0.14, 0.14, 0.11, 0.13, 0.11, 0.10, 0.07, 0.08, 0.03, -0.28, -0.02, -0.09, -0.09, -0.07, -0.01, 0.12, 0.10, 0.10, 0.09, 0.12, 0.05, -0.29, -0.01, -0.08, -0.10, -0.08, -0.01, 0